_Assignment_
Please count the lines below that contain the word "data_KLiO" and give the number alone.
_Input_
Sr4LaMn5O13 GGA+U relaxed; energy = -7.16 eV/atom; DFT formation energy = -2.6182 eV per atom; energy relative to the lowest polymorph listed for this composition = 47 meV/atom
1.0
8.8596 -3.8437 0.0000
8.8596 3.8437 0.0000
-8.8361 0.0000 8.9428
Sr La Mn O
8 2 10 26
direct
0.0417 0.5442 0.8845
0.1413 0.6405 0.6796
0.3595 0.8587 0.3204
0.4558 0.9583 0.1155
0.5442 0.0417 0.8845
0.6405 0.1413 0.6796
0.8587 0.3595 0.3204
0.9583 0.4558 0.1155
0.2498 0.7502 0.5000
0.7502 0.2498 0.5000
0.0000 0.0000 0.0000
0.0997 0.0997 0.8049
0.2028 0.2028 0.6061
0.2968 0.2968 0.3953
0.4016 0.4016 0.1945
0.5000 0.5000 0.0000
0.5984 0.5984 0.8055
0.7032 0.7032 0.6047
0.7972 0.7972 0.3939
0.9003 0.9003 0.1951
0.0461 0.0461 0.4140
0.0569 0.5515 0.3987
0.0591 0.0591 0.9171
0.1236 0.6237 0.1587
0.1390 0.1390 0.1954
0.1593 0.1593 0.7192
0.2460 0.2460 0.5028
0.3445 0.3445 0.2776
0.3594 0.3594 0.8045
0.3763 0.8764 0.8413
0.4427 0.4427 0.0848
0.4485 0.9431 0.6013
0.4499 0.4499 0.5863
0.5501 0.5501 0.4137
0.5515 0.0569 0.3987
0.5573 0.5573 0.9152
0.6237 0.1236 0.1587
0.6406 0.6406 0.1955
0.6555 0.6555 0.7224
0.7540 0.7540 0.4972
0.8407 0.8407 0.2808
0.8610 0.8610 0.8046
0.8764 0.3763 0.8413
0.9409 0.9409 0.0829
0.9431 0.4485 0.6013
0.9539 0.9539 0.5860

***

Na9Fe2P4HO18 GGA+U relaxed; energy = -6.11 eV/atom; DFT formation energy = -2.4045 eV per atom
1.0
8.6134 -7.4357 0.0000
8.6134 7.4357 0.0000
-2.9717 0.0000 6.5361
Na Fe P H O
18 4 8 2 36
direct
0.0000 0.0000 0.0000
0.0000 0.0000 0.5000
0.0226 0.7403 0.6334
0.0271 0.4855 0.2678
0.0287 0.4851 0.7488
0.2274 0.2306 0.7263
0.2306 0.2274 0.2263
0.2655 0.5002 0.1319
0.4851 0.0287 0.2488
0.4855 0.0271 0.7678
0.5002 0.2655 0.6319
0.5018 0.7838 0.3929
0.5238 0.5260 0.5253
0.5260 0.5238 0.0253
0.7403 0.0226 0.1334
0.7558 0.7657 0.7621
0.7657 0.7558 0.2621
0.7838 0.5018 0.8929
0.2631 0.7581 0.5026
0.2635 0.7591 0.0228
0.7581 0.2631 0.0026
0.7591 0.2635 0.5228
0.0176 0.2602 0.8897
0.2602 0.0176 0.3897
0.2620 0.4988 0.6344
0.4988 0.2620 0.1344
0.5261 0.7642 0.8954
0.7559 0.9975 0.6297
0.7642 0.5261 0.3954
0.9975 0.7559 0.1297
0.2319 0.9143 0.8211
0.9143 0.2319 0.3211
0.0668 0.1236 0.8440
0.0733 0.7806 0.3608
0.0741 0.7826 0.0017
0.1236 0.0668 0.3440
0.1284 0.3474 0.9881
0.1775 0.3876 0.5392
0.2145 0.8263 0.7715
0.2270 0.5788 0.4789
0.2272 0.5803 0.8340
0.2918 0.9409 0.5471
0.2945 0.9398 0.1901
0.3113 0.7003 0.2578
0.3474 0.1284 0.4881
0.3876 0.1775 0.0392
0.4011 0.4580 0.6829
0.4492 0.7389 0.0233
0.4501 0.7418 0.6654
0.4580 0.4011 0.1829
0.5701 0.8989 0.9860
0.5788 0.2270 0.9789
0.5803 0.2272 0.3340
0.6198 0.9573 0.5412
0.6404 0.6701 0.9038
0.6701 0.6404 0.4038
0.7003 0.3113 0.7578
0.7389 0.4492 0.5233
0.7418 0.4501 0.1654
0.7806 0.0733 0.8608
0.7826 0.0741 0.5017
0.8263 0.2145 0.2715
0.8484 0.8821 0.6196
0.8821 0.8484 0.1196
0.8989 0.5701 0.4860
0.9398 0.2945 0.6901
0.9409 0.2918 0.0471
0.9573 0.6198 0.0412

~~~~~

Ti3Au: optimized geometry, r2SCAN.

Energy of formation (eV per atom): -0.386
Total DFT energy (no corrections) (eV/atom): -22.736

CIF file:
```
data_Ti3Au
_chemical_formula_sum 'Ti6 Au2'
_space_group_name_H-M_alt 'P m -3 n'
_space_group_IT_number 223
_space_group_name_Hall '-P 4n 2 3'
_cell_length_a 5.0860
_cell_length_b 5.0860
_cell_length_c 5.0860
_cell_angle_alpha 90.00
_cell_angle_beta 90.00
_cell_angle_gamma 90.00
loop_
_atom_site_label
_atom_site_fract_x
_atom_site_fract_y
_atom_site_fract_z
_atom_site_occupancy
Ti1 0.0000 0.2500 0.5000 1
Au1 0.0000 0.0000 0.0000 1
```

---

KLiO: optimized geometry, r2SCAN.

Energy of formation (eV per atom): -1.593
Total DFT energy (no corrections) (eV/atom): -6.385

CIF file:
```
data_KLiO
_chemical_formula_sum 'K8 Li8 O8'
_space_group_name_H-M_alt 'C m c e'
_space_group_IT_number 64
_space_group_name_Hall '-C 2ac 2'
_cell_length_a 8.5728
_cell_length_b 6.3673
_cell_length_c 6.3967
_cell_angle_alpha 90.00
_cell_angle_beta 90.00
_cell_angle_gamma 90.00
loop_
_atom_site_label
_atom_site_fract_x
_atom_site_fract_y
_atom_site_fract_z
_atom_site_occupancy
_Here it is_
1